== Exercise ==
The reader should quote the rows further below from the first line to the one with "58.74, 13.0" word for word.
== File ==
........
Record 1
For LaHfAs2, the GGA-PBE geometry in Alexandria gives the calculated powder XRD pattern in this record (Cu Kα (λ = 1.5418 Å)).
Lines closer than 0.1° are merged.

Crystal structure
a = 4.0472 Å, b = 4.0472 Å, c = 20.3057 Å
α = 90.00°, β = 90.00°, γ = 120.00°
Atoms (fractional coordinates):
La  0.0000  0.0000  0.0000
La  0.3333  0.6667  0.6667
La  0.6667  0.3333  0.3333
Hf  0.0000  0.0000  0.5000
Hf  0.3333  0.6667  0.1667
Hf  0.6667  0.3333  0.8333
As  0.0000  0.0000  0.2392
As  0.0000  0.0000  0.7608
As  0.3333  0.6667  0.4274
As  0.3333  0.6667  0.9059
As  0.6667  0.3333  0.0941
As  0.6667  0.3333  0.5726

Peak list (8 most intense, 2θ from 15° to 90°, sorted by position)
2θ (°), I (rel.)
26.91, 16.7
31.01, 100.0
44.05, 35.4
44.79, 37.2
55.47, 19.2
72.87, 14.1
73.94, 16.3
82.06, 11.6


Record 2
For LiHf3As4, the GGA-PBE geometry in Alexandria gives the calculated powder XRD pattern in this record (Cu Kα (λ = 1.5418 Å)).
Lines closer than 0.1° are merged.

Crystal structure
a = 6.6530 Å, b = 7.6774 Å, c = 6.6007 Å
α = 90.00°, β = 109.57°, γ = 90.00°
Atoms (fractional coordinates):
Li  0.0000  0.1131  0.2500
Li  0.0000  0.8869  0.7500
Hf  0.0000  0.3732  0.7500
Hf  0.0000  0.6268  0.2500
Hf  0.5000  0.1212  0.7500
Hf  0.5000  0.3761  0.2500
Hf  0.5000  0.6239  0.7500
Hf  0.5000  0.8788  0.2500
As  0.2459  0.3700  0.4956
As  0.2459  0.6300  0.9956
As  0.2481  0.1257  0.0013
As  0.2481  0.8743  0.5013
As  0.7519  0.1257  0.4987
As  0.7519  0.8743  0.9987
As  0.7541  0.3700  0.0044
As  0.7541  0.6300  0.5044

Peak list (8 most intense, 2θ from 15° to 90°, sorted by position)
2θ (°), I (rel.)
18.31, 11.3
33.08, 100.0
47.35, 36.7
47.62, 36.1
58.97, 19.0
69.42, 11.7
78.87, 16.4
79.29, 16.2


Record 3
For LiHf2As3, the GGA-PBE geometry in Alexandria gives the calculated powder XRD pattern in this record (Cu Kα (λ = 1.5418 Å)).
Lines closer than 0.1° are merged.

Crystal structure
a = 12.7200 Å, b = 12.1314 Å, c = 6.6602 Å
α = 79.40°, β = 69.63°, γ = 30.98°
Atoms (fractional coordinates):
Li  0.0418  0.0418  0.2082
Li  0.2082  0.2082  0.0418
Li  0.7918  0.7918  0.9582
Li  0.9582  0.9582  0.7918
Hf  0.1241  0.1241  0.6259
Hf  0.2915  0.2915  0.4585
Hf  0.3741  0.3741  0.8759
Hf  0.4585  0.4585  0.2915
Hf  0.5415  0.5415  0.7085
Hf  0.6259  0.6259  0.1241
Hf  0.7085  0.7085  0.5415
Hf  0.8759  0.8759  0.3741
As  0.0410  0.5429  0.2095
As  0.1242  0.6258  0.6258
As  0.2095  0.7067  0.0410
As  0.2933  0.7905  0.4571
As  0.3742  0.8758  0.8758
As  0.4571  0.9590  0.2933
As  0.5429  0.0410  0.7067
As  0.6258  0.1242  0.1242
As  0.7067  0.2095  0.5429
As  0.7905  0.2933  0.9590
As  0.8758  0.3742  0.3742
As  0.9590  0.4571  0.7905

Peak list (8 most intense, 2θ from 15° to 90°, sorted by position)
2θ (°), I (rel.)
32.96, 100.0
47.14, 12.3
47.31, 48.6
47.42, 12.1
58.74, 13.0
58.98, 12.6
69.13, 11.7
88.21, 12.9


Record 4
For LiHf2ScAs4, the GGA-PBE geometry in Alexandria gives the calculated powder XRD pattern in this record (Cu Kα (λ = 1.5418 Å)).
Lines closer than 0.1° are merged.

Crystal structure
a = 6.6323 Å, b = 3.8207 Å, c = 6.7392 Å
α = 90.00°, β = 108.71°, γ = 90.00°
Atoms (fractional coordinates):
Li  0.0000  0.0000  0.0000
Hf  0.0000  0.5000  0.5000
Hf  0.5000  0.0000  0.5000
Sc  0.5000  0.5000  0.0000
As  0.2467  0.0000  0.7495
As  0.2504  0.5000  0.2533
As  0.7496  0.5000  0.7467
As  0.7533  0.0000  0.2505

Peak list (8 most intense, 2θ from 15° to 90°, sorted by position)
2θ (°), I (rel.)
27.32, 42.3
32.83, 100.0
32.98, 49.4
46.62, 18.7
46.93, 36.6
47.55, 52.9
59.12, 18.3
79.13, 15.7


Record 5
For Hf15Mo11As2, the GGA-PBE geometry in Alexandria gives the calculated powder XRD pattern in this record (Cu Kα (λ = 1.5418 Å)).
Lines closer than 0.1° are merged.

Crystal structure
a = 8.4603 Å, b = 8.4603 Å, c = 8.7655 Å
α = 90.00°, β = 90.00°, γ = 120.00°
Atoms (fractional coordinates):
Hf  0.0698  0.5349  0.0000
Hf  0.1992  0.3985  0.2977
Hf  0.1992  0.3985  0.7023
Hf  0.1992  0.8008  0.2977
Hf  0.1992  0.8008  0.7023
........
== Written answer ==
Record 1
For LaHfAs2, the GGA-PBE geometry in Alexandria gives the calculated powder XRD pattern in this record (Cu Kα (λ = 1.5418 Å)).
Lines closer than 0.1° are merged.

Crystal structure
a = 4.0472 Å, b = 4.0472 Å, c = 20.3057 Å
α = 90.00°, β = 90.00°, γ = 120.00°
Atoms (fractional coordinates):
La  0.0000  0.0000  0.0000
La  0.3333  0.6667  0.6667
La  0.6667  0.3333  0.3333
Hf  0.0000  0.0000  0.5000
Hf  0.3333  0.6667  0.1667
Hf  0.6667  0.3333  0.8333
As  0.0000  0.0000  0.2392
As  0.0000  0.0000  0.7608
As  0.3333  0.6667  0.4274
As  0.3333  0.6667  0.9059
As  0.6667  0.3333  0.0941
As  0.6667  0.3333  0.5726

Peak list (8 most intense, 2θ from 15° to 90°, sorted by position)
2θ (°), I (rel.)
26.91, 16.7
31.01, 100.0
44.05, 35.4
44.79, 37.2
55.47, 19.2
72.87, 14.1
73.94, 16.3
82.06, 11.6


Record 2
For LiHf3As4, the GGA-PBE geometry in Alexandria gives the calculated powder XRD pattern in this record (Cu Kα (λ = 1.5418 Å)).
Lines closer than 0.1° are merged.

Crystal structure
a = 6.6530 Å, b = 7.6774 Å, c = 6.6007 Å
α = 90.00°, β = 109.57°, γ = 90.00°
Atoms (fractional coordinates):
Li  0.0000  0.1131  0.2500
Li  0.0000  0.8869  0.7500
Hf  0.0000  0.3732  0.7500
Hf  0.0000  0.6268  0.2500
Hf  0.5000  0.1212  0.7500
Hf  0.5000  0.3761  0.2500
Hf  0.5000  0.6239  0.7500
Hf  0.5000  0.8788  0.2500
As  0.2459  0.3700  0.4956
As  0.2459  0.6300  0.9956
As  0.2481  0.1257  0.0013
As  0.2481  0.8743  0.5013
As  0.7519  0.1257  0.4987
As  0.7519  0.8743  0.9987
As  0.7541  0.3700  0.0044
As  0.7541  0.6300  0.5044

Peak list (8 most intense, 2θ from 15° to 90°, sorted by position)
2θ (°), I (rel.)
18.31, 11.3
33.08, 100.0
47.35, 36.7
47.62, 36.1
58.97, 19.0
69.42, 11.7
78.87, 16.4
79.29, 16.2


Record 3
For LiHf2As3, the GGA-PBE geometry in Alexandria gives the calculated powder XRD pattern in this record (Cu Kα (λ = 1.5418 Å)).
Lines closer than 0.1° are merged.

Crystal structure
a = 12.7200 Å, b = 12.1314 Å, c = 6.6602 Å
α = 79.40°, β = 69.63°, γ = 30.98°
Atoms (fractional coordinates):
Li  0.0418  0.0418  0.2082
Li  0.2082  0.2082  0.0418
Li  0.7918  0.7918  0.9582
Li  0.9582  0.9582  0.7918
Hf  0.1241  0.1241  0.6259
Hf  0.2915  0.2915  0.4585
Hf  0.3741  0.3741  0.8759
Hf  0.4585  0.4585  0.2915
Hf  0.5415  0.5415  0.7085
Hf  0.6259  0.6259  0.1241
Hf  0.7085  0.7085  0.5415
Hf  0.8759  0.8759  0.3741
As  0.0410  0.5429  0.2095
As  0.1242  0.6258  0.6258
As  0.2095  0.7067  0.0410
As  0.2933  0.7905  0.4571
As  0.3742  0.8758  0.8758
As  0.4571  0.9590  0.2933
As  0.5429  0.0410  0.7067
As  0.6258  0.1242  0.1242
As  0.7067  0.2095  0.5429
As  0.7905  0.2933  0.9590
As  0.8758  0.3742  0.3742
As  0.9590  0.4571  0.7905

Peak list (8 most intense, 2θ from 15° to 90°, sorted by position)
2θ (°), I (rel.)
32.96, 100.0
47.14, 12.3
47.31, 48.6
47.42, 12.1
58.74, 13.0